International Telemedicine: Revolutionizing Health Care Globally

In a world where technology is constantly redefining the boundaries of what is possible, telemedicine is emerging as a bright star, illuminating the global health landscape. Across continents, from remote villages to crowded metropolises, international telemedicine is spreading its wings, offering new hope and accessible care to those previously without it.

The Rise of Telemedicine:
A global phenomenon

Telemedicine, once a futuristic concept, is now a palpable and flourishing reality. According to a recent WHO study, the adoption of telemedicine has grown exponentially, with a 50% increase in telehealth services in the last two years. This trend is not just a fad; it reflects a profound transformation in the way health care is delivered and received across the globe.

Médecin consultant un patient à distance via télémédecine
Carte mondiale illustrant les réseaux de télémédecine internationaux

From Inspiring Examples to
Four Corners of the World

# Here the article breaks off for records of crystals
+++
DyPbAu: optimized geometry, r²SCAN.

The structure in CIF format:
```
data_DyPbAu
_cell_length_a 6.780
_cell_length_b 6.780
_cell_length_c 6.780
_cell_angle_alpha 90.00
_cell_angle_beta 90.00
_cell_angle_gamma 90.00
_space_group_name_H-M_alt 'F -4 3 m'
_space_group_IT_number 216
_space_group_name_Hall 'F -4 2 3'
loop_
_atom_site_label
_atom_site_type_symbol
_atom_site_fract_x
_atom_site_fract_y
_atom_site_fract_z
Dy1 Dy 0.000 0.000 0.000
Pb1 Pb 0.000 0.000 0.500
Au1 Au 0.250 0.250 0.750
```

For the calculated total energy, the calculation gives -47.1132 eV per atom.


1.
Compound: ThNi2B2C
Source: the Materials Project
Functional: PBE-GGA
Structure: relaxed

The structure in CIF format:
```
data_ThNi2B2C
_space_group_name_H-M_alt 'I 4/m m m'
_space_group_IT_number 139
_space_group_name_Hall '-I 4 2'
_cell_length_a 3.690
_cell_length_b 3.690
_cell_length_c 10.154
_cell_angle_alpha 90.00
_cell_angle_beta 90.00
_cell_angle_gamma 90.00
loop_
_atom_site_label
_atom_site_type_symbol
_atom_site_fract_x
_atom_site_fract_y
_atom_site_fract_z
_atom_site_occupancy
Th1 Th 0.000 0.000 0.000 1
Ni1 Ni 0.000 0.500 0.250 1
B1 B 0.000 0.000 0.351 1
C1 C 0.000 0.000 0.500 1
```

Calculated values
DFT formation energy	-0.49	eV/atom
crystal system	tetragonal
raw total energy	-7.4207	eV per atom

***

2.
Compound: HgH2NCl
Source: the Materials Project
Functional: PBE-GGA
Structure: relaxed

The structure in CIF format:
```
data_HgH2NCl
_space_group_name_H-M_alt 'P m m a'
_space_group_IT_number 51
_cell_length_a 6.811
_cell_length_b 4.491
_cell_length_c 5.104
_cell_angle_alpha 90.00
_cell_angle_beta 90.00
_cell_angle_gamma 90.00
loop_
_space_group_symop_operation_xyz
'x,y,z'
'-x,-y,-z'
'-x+1/2,-y,z'
'x+1/2,y,-z'
'x+1/2,-y,-z'
'-x+1/2,y,z'
'-x,y,-z'
'x,-y,z'
loop_
_atom_site_label
_atom_site_type_symbol
_atom_site_fract_x
_atom_site_fract_y
_atom_site_fract_z
_atom_site_occupancy
Hg1 Hg 0.000 0.000 0.000 1
H1 H 0.250 0.184 0.369 1
N1 N 0.250 0.000 0.248 1
Cl1 Cl 0.250 0.500 0.724 1
```

Calculated values
DFT formation energy	-0.45	eV/atom
crystal system	orthorhombic
raw total energy	-3.7840	eV per atom

***

3.
Compound: Ba2NdMgRuO6
Source: the Materials Project
Functional: PBE-GGA
Structure: relaxed

The structure in CIF format:
```
data_Ba2NdMgRuO6
_space_group_name_H-M_alt 'R 3 m'
_space_group_IT_number 160
_space_group_name_Hall 'R 3 -2"'
_cell_length_a 6.0396
_cell_length_b 6.0396
_cell_length_c 17.1349
_cell_angle_alpha 90.00
_cell_angle_beta 90.00
_cell_angle_gamma 120.00
loop_
_atom_site_label
_atom_site_type_symbol
_atom_site_fract_x
_atom_site_fract_y
_atom_site_fract_z
_atom_site_occupancy
Ba1 Ba 0.0000 0.0000 0.0000 1
Ba2 Ba 0.0000 0.0000 0.4550 1
Nd1 Nd 0.0000 0.0000 0.7983 1
Mg1 Mg 0.0000 0.0000 0.6313 1
Ru1 Ru 0.0000 0.0000 0.2723 1
O1 O 0.1687 0.3374 0.3489 1
O2 O 0.1758 0.3516 0.8707 1
```

Calculated values
DFT formation energy	-2.40	eV/atom
crystal system	trigonal
raw total energy	-6.4918	eV per atom
+++

  • In Africa, telemedicine allows doctors to provide vital consultations in remote areas, reducing distances and health disparities.
  • In Asia, telemedicine applications offer rapid and accurate diagnoses, allowing for prompt and effective medical intervention.
  • In Europe and North America, telemedicine is strengthening chronic care management, allowing patients to receive ongoing care without the constraints of travel.

Overcoming Global Health Challenges

Telemedicine, a bold technological bridge, provides innovative answers to some of the most pressing global health challenges. Thanks to its intelligent integration, long-standing problems are not only addressed but also resolved effectively and compassionately.

Reducing Geographic Barriers

Problem: Limited access to health care in remote or rural areas.
Telemedicine solution: Virtual clinics offer remote consultations, eliminating distance constraints.
Impact: A WHO study reveals a 40% increase in access to primary care in rural areas thanks to telemedicine.

Medical Emergency Management

Problem: Slow response to medical emergencies in remote areas.
Telemedicine solution: Emergency telemedicine systems allow rapid diagnoses and effective referrals.
Impact: Data shows a 30% reduction in response time to medical emergencies.

Improving Chronic Disease Monitoring

Problem: Difficult follow-up of patients with chronic diseases.
Telemedicine solution: Remote monitoring and treatment management via applications and connected devices.
Impact: A significant drop in hospitalizations and emergency department visits for chronic patients.

Access to specialists

Problem: Lack of specialists in some regions.
Telemedicine solution: Connecting with specialists remotely for specialized consultations.
Impact: Increase in access to specialized care, especially in the fields of psychiatry and dermatology.

Strengthening Local Health Systems

Telemedicine is proving to be a boon for developing countries, radically transforming the health landscape. This technology is not only a convenience tool but a real driver of change, bringing essential health care to the most vulnerable communities.

Reducing Health Inequalities

Impact: Telemedicine bridges the gap between densely populated urban areas and remote rural areas.
Statistics: According to the WHO, access to basic health care has increased by 60% in some regions thanks to telemedicine.
Concrete example: In Kenya, telemedicine programs have improved access to specialists for patients living in remote areas.

Improving the Quality of Care

Impact: Telemedicine offers more accurate diagnoses and better monitoring of treatments.
Statistics: A study indicates a 25% reduction in diagnostic errors in regions using telemedicine.
Concrete example: In India, mobile clinics equipped with telemedicine technology have made it possible to make accurate diagnoses in areas that previously lacked adequate medical facilities.

Inserted here: records of crystals >
+++
# 1
Compound: CdH2O2
Source: Materials Project
Functional: PBE
Structure: optimized geometry

Calculated values
energy with MP2020 corrections: -4.776 eV/atom
E: -4.501 eV/atom
calculated formation energy: -1.25 eV per atom
maximum piezoelectric response: 1.253 C/m²
ΔE to the lowest computed polymorph: 0.070 eV per atom
space-group type: No. 8

a b c (Å): 6.440 6.440 3.272
angles (deg): 80.71 80.71 123.73
Sites, in units of the cell vectors:
Cd: 0.790 0.066 0.032
Cd: 0.066 0.790 0.032
H: 0.666 0.304 0.516
H: 0.304 0.666 0.516
H: 0.384 0.384 0.402
H: 0.578 0.578 0.654
O: 0.349 0.842 0.419
O: 0.842 0.349 0.419
O: 0.396 0.396 0.693
O: 0.837 0.837 0.602

---

# 2
Compound: NaSr4As4
Source: Materials Project
Functional: PBE
Structure: optimized geometry

Calculated values
E: -3.941 eV/atom
calculated formation energy: -0.97 eV per atom
space-group type: No. 62

a b c (Å): 7.830 8.313 15.945
angles (deg): 90.00 90.00 90.00
Sites, in units of the cell vectors:
Na: 0.184 0.518 0.750
Na: 0.816 0.482 0.250
Na: 0.316 0.018 0.250
Na: 0.684 0.982 0.750
Sr: 0.352 0.167 0.623
Sr: 0.648 0.833 0.377
Sr: 0.148 0.667 0.377
Sr: 0.648 0.833 0.123
Sr: 0.852 0.333 0.623
Sr: 0.352 0.167 0.877
Sr: 0.852 0.333 0.877
Sr: 0.148 0.667 0.123
Sr: 0.003 0.193 0.095
Sr: 0.997 0.807 0.905
Sr: 0.497 0.693 0.905
Sr: 0.997 0.807 0.595
Sr: 0.503 0.307 0.095
Sr: 0.003 0.193 0.405
Sr: 0.503 0.307 0.405
Sr: 0.497 0.693 0.595
As: 0.050 0.084 0.750
As: 0.950 0.916 0.250
As: 0.450 0.584 0.250
As: 0.550 0.416 0.750
As: 0.194 0.463 0.538
As: 0.806 0.537 0.462
As: 0.306 0.963 0.462
As: 0.806 0.537 0.038
As: 0.694 0.037 0.538
As: 0.194 0.463 0.962
As: 0.694 0.037 0.962
As: 0.306 0.963 0.038
As: 0.284 0.873 0.750
As: 0.716 0.127 0.250
As: 0.216 0.373 0.250
As: 0.784 0.627 0.750

---

# 3
Compound: Mg5Si6O18
Source: Materials Project
Functional: PBE
Structure: optimized geometry

Calculated values
energy with MP2020 corrections: -7.526 eV/atom
E: -7.100 eV/atom
calculated formation energy: -3.06 eV per atom
space-group type: No. 60

a b c (Å): 5.373 9.463 27.621
angles (deg): 90.00 90.00 90.00
Sites, in units of the cell vectors:
Mg: 0.750 0.500 0.526
Mg: 0.250 0.000 0.974
Mg: 0.250 0.500 0.474
Mg: 0.750 0.000 0.026
Mg: 0.750 0.000 0.914
Mg: 0.250 0.500 0.586
Mg: 0.250 0.000 0.086
Mg: 0.750 0.500 0.414
Mg: 0.750 0.500 0.647
Mg: 0.250 0.000 0.853
Mg: 0.250 0.500 0.353
Mg: 0.750 0.000 0.147
Mg: 0.750 0.000 0.797
Mg: 0.250 0.500 0.703
Mg: 0.250 0.000 0.203
Mg: 0.750 0.500 0.297
Mg: 0.750 0.500 0.756
Mg: 0.250 0.000 0.744
Mg: 0.250 0.500 0.244
Mg: 0.750 0.000 0.256
Si: 0.913 0.290 0.972
Si: 0.413 0.210 0.528
Si: 0.087 0.790 0.528
Si: 0.587 0.710 0.972
Si: 0.087 0.710 0.028
Si: 0.587 0.790 0.472
Si: 0.913 0.210 0.472
Si: 0.413 0.290 0.028
Si: 0.923 0.287 0.860
Si: 0.423 0.213 0.640
Si: 0.077 0.787 0.640
Si: 0.577 0.713 0.860
Si: 0.077 0.713 0.140
Si: 0.577 0.787 0.360
Si: 0.923 0.213 0.360
Si: 0.423 0.287 0.140
Si: 0.921 0.204 0.697
Si: 0.421 0.296 0.803
Si: 0.079 0.704 0.803
Si: 0.579 0.796 0.697
+++
Back to the entry >

Training and Support for Local Health Professionals

Impact: Telemedicine allows for continuing education and support for local health professionals.
Statistics: Over 10,000 health professionals in developing countries have been trained through telemedicine programs.
Concrete example: Online training programs in Brazil have increased the skills of health professionals in rural areas.

Joining forces for better global health

Telemedicine, by transcending borders and cultural barriers, has paved the way for unprecedented international partnerships and collaborations. These strategic alliances are the cornerstone of improving global health, demonstrating that combining skills and resources can lead to extraordinary results.

Reducing Health Inequalities

Impact: Telemedicine bridges the gap between densely populated urban areas and remote rural areas.
Statistics: According to the WHO, access to basic health care has increased by 60% in some regions thanks to telemedicine.
Concrete example: In Kenya, telemedicine programs have improved access to specialists for patients living in remote areas.

Improving the Quality of Care

Impact: Telemedicine offers more accurate diagnoses and better monitoring of treatments.
Statistics: A study indicates a 25% reduction in diagnostic errors in regions using telemedicine.
Concrete example: In India, mobile clinics equipped with telemedicine technology have made it possible to make accurate diagnoses in areas that previously lacked adequate medical facilities.

Training and Support for Local Health Professionals

Impact: Telemedicine allows for continuing education and support for local health professionals.
Statistics: Over 10,000 health professionals in developing countries have been trained through telemedicine programs.
Concrete example: Online training programs in Brazil have increased the skills of health professionals in rural areas.